(A)   New construction. Any new commercial or industrial structure and any residential structure with two or more dwelling units shall have a fire alarm system installed prior to occupancy.
   (B)   Remodeling. Any existing structure other than residential buildings with less than four dwelling units shall add a fire alarm system for the entire structure regardless of building separation, fire-rated assemblies and type of construction, at any time that any addition, major renovation (50% or more), or expansion of the structure increases the gross square footage of the structure as it existed on January 1, 2003 by 2,500 square feet or more.
   (C)   Connection required. All fire alarm systems shall be connected to the Winthrop Harbor Police/Fire Dispatch Center or other alarm service provider duly designated by the village for such purposes by direct connection. In the event of the activation of any such system, an alarm shall sound on the premises and an alarm shall be transmitted to the dispatch center or alarm service provider in order to alert the Fire Department.
   (D)   Compliant systems. At all times, the Fire Department shall maintain a list of commercially available and approved fire alarm systems, and shall freely distribute such list to all building owners and occupants upon request. The Fire Department shall not recommend any particular system or be required to provide any engineering or design services, but shall review all submitted plans prior to installation as part of the building permit approval process to ensure compliance with this section.
   (E)   Maintenance. All fire alarm systems must remain operational and in good working order at all times.
   (F)   Liability. All owners of structures regulated under this section shall have a non-delegable duty to ensure that all such fire alarms remain operational and in good working order at all times. All building tenants and occupants, other than residential apartment dwellers, have a joint and several duty with the building owner to ensure that all such fire alarms remain operational and in good working order at all times.
********
# 1
Below is an isolated ion of composition C4H7N2O6S and charge -1 at a distorted geometry, with properties calculated with the ωB97M-V functional and the def2-TZVPD basis.

Total charge: -1
E: -1115.566771 hartree
Frontier orbital gap (spin up / spin down): 7.22 / 8.12 eV
Spin multiplicity: 3
Expectation value of S²: 2.011

Element x y z (Å)
H: -1.611 -0.981 -2.787
C: -2.108 -0.912 -1.736
H: -2.782 -1.723 -1.795
N: 1.647 -0.897 0.896
H: -1.802 -1.105 0.431
C: -1.272 -0.975 -0.511
C: 0.572 0.081 0.912
H: 0.354 0.338 -1.088
O: 0.938 2.704 0.246
O: 2.664 1.198 -0.447
O: 2.427 1.693 1.939
H: -2.752 -0.129 -1.975
C: -0.302 0.294 -0.263
N: 0.237 0.546 2.175
S: 1.863 1.704 0.617
H: -0.631 -1.774 -0.558
O: 1.605 -1.838 0.100
O: -0.736 1.327 2.224
H: -0.816 1.193 -0.127
O: 2.506 -0.742 1.745



# 2
Below is one molecule with the formula C5H6O3 at a distorted geometry, with properties calculated with the ωB97M-V functional and the def2-TZVPD basis.

E: -419.723373 hartree
SMILES string: C1=COC([C@H]2CO2)O1
Frontier orbital gap: 9.70 eV

Element x y z (Å)
H: -2.347 0.352 1.183
O: -1.632 0.614 -0.816
H: -0.948 -1.342 -1.060
H: 2.651 -0.263 -1.369
C: 1.949 -0.079 -0.564
H: 0.026 -1.076 1.582
O: 1.276 -1.167 -0.030
C: -1.039 -0.537 -0.320
C: 1.464 1.076 -0.132
C: 0.149 -0.541 0.625
H: -3.269 -0.541 -0.049
C: -2.384 -0.038 0.248
O: 0.544 0.735 0.969
H: 1.546 2.133 -0.399



# 3
Below is H2OSn as an isolated structure at a distorted geometry, with properties calculated with the ωB97M-V functional and the def2-TZVPD basis.

Total charge: +2
E: -289.952869 hartree
Frontier orbital gap: 11.96 eV

Element x y z (Å)
H: -0.003 19.921 -14.904
Sn: -0.334 17.544 -16.077
O: -0.513 19.136 -14.706
H: -0.551 19.109 -13.750



# 4
Below is one molecule with the formula C6H11N at a distorted geometry, with properties calculated with the ωB97M-V functional and the def2-TZVPD basis.

E: -289.899165 hartree
SMILES string: [H]/N=C/CC=C(C)C
Frontier orbital gap: 9.38 eV

Element x y z (Å)
H: 1.796 0.924 2.440
C: -1.133 -0.342 1.272
H: 0.401 -0.497 -2.862
H: 0.777 -1.818 -1.763
C: -0.980 -0.908 -0.084
H: 0.816 -1.186 2.177
C: 0.382 -0.235 1.820
N: 0.933 0.889 1.896
H: 1.741 -0.333 -1.721
H: -1.548 0.662 1.287
H: 0.049 1.759 -1.858
H: -1.304 1.737 -0.699
C: 0.738 -0.734 -1.849
H: 0.362 1.801 -0.121
C: -0.201 -0.113 -0.853
H: -0.882 -1.981 -0.158
H: -1.665 -1.005 1.953
C: -0.283 1.381 -0.876



# 5
Below is a 2-piece molecular cluster, C4H5ClN2O overall at a distorted geometry, with properties calculated with the ωB97M-V functional and the def2-TZVPD basis.

E: -800.267217 hartree
Frontier orbital gap: 9.87 eV

Element x y z (Å)
C: 0.204 1.319 1.368
H: 0.454 2.325 1.717
H: 0.332 1.233 -2.270
C: 0.224 0.014 1.926
N: -0.063 -0.114 -0.218
C: 0.072 -0.891 0.929
H: 0.311 -0.261 2.957
N: -0.037 1.184 0.074
C: -0.268 -0.431 -1.576
H: -1.775 -0.737 -1.547
O: -0.123 0.413 -2.549
H: 0.249 -1.951 1.065
Cl: 0.420 -2.102 -1.876



# 6
********
   (G)   Controlled areas. All buildings required to have fire alarms under this section shall have fire alarm sensors and warning devices installed in all living areas and all common areas of the structure, including, but not limited to, hallways, vestibules, storage rooms, entryways, laundry rooms and attached garages.
(Ord. 2003-O-1, passed 1-21-03; Am. Ord. 2003-O-24, passed 8-5-03; Am. Ord. 2007-O-11, passed 5-1-07) Penalty, see § 93.99